The reader should echo the part of the data further below that starts with the line with "0.6515 6.3308" and stops after the one with "5.6896 -1.3414".
********
No. 1
This record from OMol25 describes a cluster of 12 separate species, C30H84O18 in total at a distorted geometry. The level of theory is wB97M-V/def2-TZVPD.

Properties
* maximum force: 2.9 eV/Å
* charge: -1
* <S²>: 0.75
* gap between HOMO and LUMO (alpha / beta): 1.610 / 8.981 eV
* HOMO (alpha / beta): 0.004 / -0.268 Ha
* E: -69322.56107 eV
* energy above the lowest of the compared OMol25 structures with the same formula, charge and spin: 0.0 kcal per mole
* multiplicity: 2

Geometry (Å):
C 2.4584 5.0060 0.4604
C 1.2790 5.0388 -0.5451
O 0.6515 6.3308 -0.4372
O 2.9203 3.7202 0.7607
H 2.2394 5.4817 1.4163
H 3.3307 5.4535 -0.0159
H 0.4985 4.3304 -0.2672
H 1.5524 4.8449 -1.5823
H -0.0402 6.3808 -1.1010
H 2.4503 3.3860 1.5282
C -1.4696 -3.0020 -3.3589
C -0.7364 -1.9542 -4.2436
O -1.6883 -1.2071 -4.9644
O -2.3784 -2.5396 -2.4368
H -0.6599 -3.4916 -2.8178
H -1.9602 -3.7994 -3.9171
H 0.0027 -2.3226 -4.9550
H -0.1336 -1.3032 -3.6104
H -1.3842 -0.2966 -4.9571
H -1.9796 -1.7145 -2.1508
C -4.5911 0.0531 1.8783
C -4.8233 -0.3526 0.3951
O -3.8842 0.3140 -0.4406
O -3.4634 -0.5027 2.4015
H -5.4596 -0.2388 2.4687
H -4.4346 1.1233 2.0143
H -5.8277 -0.0812 0.0700
H -4.7041 -1.4214 0.2171
H -4.2091 0.1835 -1.3344
H -2.7258 -0.0457 1.9909
C 0.0560 -0.3315 -0.0635
C -0.0157 0.9523 0.7425
O -1.2551 1.0516 1.4060
O -1.0496 -0.5243 -0.9165
H 0.0493 -1.2131 0.5775
H 0.9831 -0.3157 -0.6365
H 0.0354 1.7689 0.0222
H 0.8277 1.0645 1.4237
H -1.1748 1.8905 1.8657
H -1.8313 -0.2142 -0.4533
C -0.8105 2.0093 -3.7394
C 0.6426 2.2025 -3.2456
O 1.1770 3.2574 -4.0233
O -0.8002 1.3863 -5.0163
H -1.3395 2.9621 -3.7216
H -1.2714 1.2591 -3.0967
H 1.2303 1.2947 -3.3824
H 0.6395 2.4241 -2.1783
H 2.0062 2.8893 -4.3372
H -0.5998 2.0518 -5.6785
C 0.8758 4.0494 3.6566
C -0.5725 3.5694 3.9628
O -1.3973 3.6928 2.8264
O 1.6187 3.0196 3.0483
H 1.3898 4.2330 4.6002
H 0.9266 4.9761 3.0849
H -1.0947 4.2193 4.6649
H -0.6376 2.5504 4.3442
H -1.5414 4.6074 2.5727
H 1.9747 2.4833 3.7604
C 5.1212 1.2921 2.3976
C 5.4127 1.1628 0.9270
C 4.3316 0.3318 0.1933
O 5.3151 2.4226 0.3559
H 5.2859 0.3384 2.8990
H 4.1035 1.6540 2.5438
H 5.7877 1.9848 2.9116
H 6.4485 0.8522 0.7901
H 4.5734 0.1986 -0.8611
H 3.3441 0.7589 0.3683
H 4.2798 -0.6201 0.7217
H 4.4874 2.7849 0.6805
C -4.1790 -5.3717 1.9465
C -3.4438 -4.1095 2.2886
C -2.5929 -3.5928 1.1187
O -4.4976 -3.1664 2.5469
H -3.5072 -6.2223 1.8314
H -4.9029 -5.2649 1.1387
H -4.8299 -5.6709 2.7681
H -2.8105 -4.4270 3.1169
H -2.2516 -2.6167 1.4635
H -3.1893 -3.4522 0.2173
H -1.7964 -4.2996 0.8861
H -4.0763 -2.3043 2.5775
C 2.6202 -5.4447 -1.0356
C 1.5459 -5.1773 0.1129
C 0.9255 -3.7805 -0.0472
O 0.5386 -6.1706 -0.0242
H 2.9542 -6.4708 -0.8815
H 3.3684 -4.6532 -0.9935
H 2.2507 -5.4332 -2.0610
H 1.8997 -5.3195 1.1341
H 0.1998 -3.6718 0.7589
H 0.3688 -3.6955 -0.9805
H 1.6918 -3.0058 -0.0721
H -0.0478 -6.0383 -0.7727
C 1.5964 -1.4201 3.4764
C 0.2525 -1.3107 4.3135
C -0.9112 -2.0079 3.7153
O 0.3792 -1.6338 5.6620
H 2.3103 -0.6547 3.7808
H 1.2263 -1.3935 2.4515
H 1.9922 -2.4057 3.7213
H 0.0256 -0.2510 4.1970
H -0.9483 -1.8465 2.6379
H -1.8410 -1.6038 4.1155
H -0.8556 -3.0936 3.7932
H -0.5092 -1.6246 6.0257
C -2.3812 3.4162 -0.9553
C -3.7324 4.1224 -0.6577
C -4.4196 4.7242 -1.8963
O -4.6278 3.2647 -0.0851
H -2.0280 3.0684 0.0155
H -1.6822 4.0917 -1.4484
H -2.6460 2.5001 -1.4833
H -3.4639 4.8329 0.1241
H -3.9551 4.5166 -2.8603
H -4.5615 5.7953 -1.7524
H -5.4328 4.3310 -1.9793
H -4.2801 2.3705 -0.1203
C 2.8456 -1.8688 -2.4662
C 3.7095 -1.9581 -3.7339
C 5.0677 -1.2323 -3.6930
O 3.8410 -3.3318 -4.0292
H 2.6727 -0.8182 -2.2329
H 3.3802 -2.3629 -1.6549
H 1.8737 -2.3466 -2.5896
H 3.1305 -1.4543 -4.5080
H 5.6896 -1.3414 -4.5815
H 5.6825 -1.6506 -2.8960
H 4.9761 -0.1563 -3.5454
H 3.0233 -3.7087 -4.3623

Atomic partial charges in e from the Mulliken method, atoms 1 to 5:
1. C -0.83
2. C 0.74
3. O -0.59
4. O -0.59
5. H 0.30

***

No. 2
********
O 0.6515 6.3308 -0.4372
O 2.9203 3.7202 0.7607
H 2.2394 5.4817 1.4163
H 3.3307 5.4535 -0.0159
H 0.4985 4.3304 -0.2672
H 1.5524 4.8449 -1.5823
H -0.0402 6.3808 -1.1010
H 2.4503 3.3860 1.5282
C -1.4696 -3.0020 -3.3589
C -0.7364 -1.9542 -4.2436
O -1.6883 -1.2071 -4.9644
O -2.3784 -2.5396 -2.4368
H -0.6599 -3.4916 -2.8178
H -1.9602 -3.7994 -3.9171
H 0.0027 -2.3226 -4.9550
H -0.1336 -1.3032 -3.6104
H -1.3842 -0.2966 -4.9571
H -1.9796 -1.7145 -2.1508
C -4.5911 0.0531 1.8783
C -4.8233 -0.3526 0.3951
O -3.8842 0.3140 -0.4406
O -3.4634 -0.5027 2.4015
H -5.4596 -0.2388 2.4687
H -4.4346 1.1233 2.0143
H -5.8277 -0.0812 0.0700
H -4.7041 -1.4214 0.2171
H -4.2091 0.1835 -1.3344
H -2.7258 -0.0457 1.9909
C 0.0560 -0.3315 -0.0635
C -0.0157 0.9523 0.7425
O -1.2551 1.0516 1.4060
O -1.0496 -0.5243 -0.9165
H 0.0493 -1.2131 0.5775
H 0.9831 -0.3157 -0.6365
H 0.0354 1.7689 0.0222
H 0.8277 1.0645 1.4237
H -1.1748 1.8905 1.8657
H -1.8313 -0.2142 -0.4533
C -0.8105 2.0093 -3.7394
C 0.6426 2.2025 -3.2456
O 1.1770 3.2574 -4.0233
O -0.8002 1.3863 -5.0163
H -1.3395 2.9621 -3.7216
H -1.2714 1.2591 -3.0967
H 1.2303 1.2947 -3.3824
H 0.6395 2.4241 -2.1783
H 2.0062 2.8893 -4.3372
H -0.5998 2.0518 -5.6785
C 0.8758 4.0494 3.6566
C -0.5725 3.5694 3.9628
O -1.3973 3.6928 2.8264
O 1.6187 3.0196 3.0483
H 1.3898 4.2330 4.6002
H 0.9266 4.9761 3.0849
H -1.0947 4.2193 4.6649
H -0.6376 2.5504 4.3442
H -1.5414 4.6074 2.5727
H 1.9747 2.4833 3.7604
C 5.1212 1.2921 2.3976
C 5.4127 1.1628 0.9270
C 4.3316 0.3318 0.1933
O 5.3151 2.4226 0.3559
H 5.2859 0.3384 2.8990
H 4.1035 1.6540 2.5438
H 5.7877 1.9848 2.9116
H 6.4485 0.8522 0.7901
H 4.5734 0.1986 -0.8611
H 3.3441 0.7589 0.3683
H 4.2798 -0.6201 0.7217
H 4.4874 2.7849 0.6805
C -4.1790 -5.3717 1.9465
C -3.4438 -4.1095 2.2886
C -2.5929 -3.5928 1.1187
O -4.4976 -3.1664 2.5469
H -3.5072 -6.2223 1.8314
H -4.9029 -5.2649 1.1387
H -4.8299 -5.6709 2.7681
H -2.8105 -4.4270 3.1169
H -2.2516 -2.6167 1.4635
H -3.1893 -3.4522 0.2173
H -1.7964 -4.2996 0.8861
H -4.0763 -2.3043 2.5775
C 2.6202 -5.4447 -1.0356
C 1.5459 -5.1773 0.1129
C 0.9255 -3.7805 -0.0472
O 0.5386 -6.1706 -0.0242
H 2.9542 -6.4708 -0.8815
H 3.3684 -4.6532 -0.9935
H 2.2507 -5.4332 -2.0610
H 1.8997 -5.3195 1.1341
H 0.1998 -3.6718 0.7589
H 0.3688 -3.6955 -0.9805
H 1.6918 -3.0058 -0.0721
H -0.0478 -6.0383 -0.7727
C 1.5964 -1.4201 3.4764
C 0.2525 -1.3107 4.3135
C -0.9112 -2.0079 3.7153
O 0.3792 -1.6338 5.6620
H 2.3103 -0.6547 3.7808
H 1.2263 -1.3935 2.4515
H 1.9922 -2.4057 3.7213
H 0.0256 -0.2510 4.1970
H -0.9483 -1.8465 2.6379
H -1.8410 -1.6038 4.1155
H -0.8556 -3.0936 3.7932
H -0.5092 -1.6246 6.0257
C -2.3812 3.4162 -0.9553
C -3.7324 4.1224 -0.6577
C -4.4196 4.7242 -1.8963
O -4.6278 3.2647 -0.0851
H -2.0280 3.0684 0.0155
H -1.6822 4.0917 -1.4484
H -2.6460 2.5001 -1.4833
H -3.4639 4.8329 0.1241
H -3.9551 4.5166 -2.8603
H -4.5615 5.7953 -1.7524
H -5.4328 4.3310 -1.9793
H -4.2801 2.3705 -0.1203
C 2.8456 -1.8688 -2.4662
C 3.7095 -1.9581 -3.7339
C 5.0677 -1.2323 -3.6930
O 3.8410 -3.3318 -4.0292
H 2.6727 -0.8182 -2.2329
H 3.3802 -2.3629 -1.6549
H 1.8737 -2.3466 -2.5896
H 3.1305 -1.4543 -4.5080
H 5.6896 -1.3414 -4.5815